Read Dark Need Page 6

Page 6


  "How do you like being a cop?" her neighbor asked as they sipped iced tea out on her postage stamp-sized balcony overlooking the other half of the canal below.

  Sam shrugged. "It's okay. I'm trying to get a transfer over to Homicide. " Anything to get away from Dwyer, who by that time had become a real nuisance.

  "I never see you with any guys," Keri mentioned.

[These data records were left in the page by mistake]
# 1
# C33H34CrFIN9O4P

C33H34CrFIN9O4P as an isolated structure (ωB97M-V with the def2-TZVPD basis set, the OMol25 dataset).

```
84
Properties=species:S:1:pos:R:3:forces:R:3
Cr 0.45328 0.48221 -0.44470 0.0 0.0 0.0
C -0.84374 0.53533 3.65199 -0.1 0.0 -0.1
C 0.35527 0.15364 4.33239 0.1 0.0 0.0
C 1.50370 -0.01486 3.61269 0.0 0.0 0.0
C 1.52540 0.17438 2.21207 0.1 -0.1 0.1
N 0.32646 0.49844 1.56152 0.1 0.0 -0.1
C -0.78970 0.67974 2.29626 -0.1 0.0 0.1
C 2.67228 0.07586 1.36105 0.0 0.0 0.0
C 3.98380 -0.16390 1.82712 0.0 0.0 0.0
C 5.04343 -0.23146 0.94135 0.0 0.0 0.0
C 4.84225 -0.05115 -0.42329 0.0 0.0 0.0
C 3.54266 0.18237 -0.88866 0.1 0.0 0.0
C 2.44604 0.23662 -0.04158 0.0 -0.1 0.0
H -1.77091 0.70598 4.18026 0.0 0.0 0.0
H 0.35361 0.00443 5.40407 0.0 0.0 0.0
H 2.42031 -0.29416 4.11602 0.0 0.0 0.0
H -1.67242 0.94298 1.72493 0.0 0.0 0.0
H 4.17530 -0.28700 2.88629 0.0 0.0 0.0
H 6.04161 -0.41698 1.32091 0.0 0.0 0.0
H 5.67705 -0.08573 -1.11231 0.0 0.0 0.0
H 3.41309 0.34293 -1.95619 0.0 0.0 0.0
I 2.35266 -2.57570 -5.15767 0.0 0.0 0.0
C 1.32833 -0.90980 -4.46264 0.0 0.0 0.0
C 0.62116 -0.07638 -5.31298 0.0 0.0 0.0
C -0.04434 1.00658 -4.76490 0.0 0.0 0.0
C 0.00191 1.20251 -3.39777 0.0 0.0 0.0
N 0.68366 0.39963 -2.58137 0.0 0.0 0.1
C 1.34164 -0.63203 -3.10872 0.1 -0.1 0.0
H 0.58725 -0.27037 -6.37644 0.0 0.0 0.0
H -0.60972 1.68539 -5.38738 0.0 0.0 0.0
H -0.53065 2.02115 -2.93384 0.0 0.0 0.0
H 1.90969 -1.24183 -2.41934 0.0 0.0 0.0
N 0.69563 6.75632 -0.01612 0.0 0.0 0.0
C 0.66055 5.40698 -0.16424 0.0 0.0 0.0
C 1.79942 4.61876 0.04012 0.0 0.0 0.0
C 1.71839 3.25434 -0.10641 0.0 0.0 0.0
N 0.58689 2.61559 -0.44514 0.0 0.0 0.0
C -0.50613 3.37222 -0.63408 0.0 0.0 0.0
C -0.51976 4.74027 -0.51615 0.0 0.0 0.0
H 1.55568 7.22808 0.18995 0.0 0.0 0.0
H -0.11396 7.31500 -0.20869 0.0 0.0 0.0
H 2.74336 5.06845 0.31968 0.0 0.0 0.0
H 2.58462 2.62641 0.05209 0.0 0.0 0.0
H -1.41390 2.84579 -0.88929 -0.1 0.0 0.0
H -1.44371 5.27571 -0.69423 0.0 0.0 0.0
C -1.18411 -4.66744 0.31472 0.0 0.0 0.0
N -0.44328 -4.52306 -0.93712 0.0 0.0 0.0
C 0.92067 -5.00557 -0.72794 0.0 0.0 0.0
N 1.61647 -4.35504 0.37884 0.0 0.0 0.0
C 0.81202 -4.50071 1.59131 0.0 0.0 0.0
N -0.55745 -4.00464 1.45537 0.0 0.0 0.0
C -0.58084 -2.54871 1.31606 0.0 0.0 0.0
P 0.33538 -1.98443 -0.18844 0.0 0.0 0.0
C -0.45834 -3.13687 -1.40553 0.0 0.0 -0.1
C 1.89154 -2.94737 0.08891 0.0 0.0 0.0
H -1.25653 -5.73359 0.54149 0.0 0.0 0.0
H -2.19277 -4.27138 0.17972 0.0 0.0 0.0
H 1.49490 -4.86270 -1.64607 0.0 0.0 0.0
H 0.86859 -6.07561 -0.51312 0.0 0.0 0.0
H 1.30218 -3.97059 2.40970 0.0 0.0 0.0
H 0.76302 -5.56325 1.83917 0.0 0.0 0.0
H -0.13190 -2.08455 2.19794 0.0 0.0 0.0
H -1.61469 -2.19782 1.25934 0.0 0.0 0.0
H 0.06176 -3.07736 -2.36575 0.0 0.0 0.0
H -1.48212 -2.81188 -1.59092 0.0 0.0 0.0
H 2.44336 -2.49473 0.91494 0.0 0.0 0.0
H 2.53408 -2.87421 -0.79294 0.0 0.0 0.0
F -4.52685 -0.30430 3.38390 0.0 0.0 0.0
C -4.37651 0.56142 2.37907 0.0 -0.1 0.0
C -4.28311 0.14838 1.11383 0.0 0.1 0.0
N -4.13762 1.02728 0.05942 0.0 -0.1 0.0

  "No time. " And, after putting up with Dwyer's continual harassment, even less inclination.

  "You could change your hair. " She nodded toward Sam's ponytail. "Put on some makeup, dress up a little. You've got a great body. Very earthy. What are you, a size eight?"

  "Ten. Twelve if the top isn't roomy. " She looked down at herself and grimaced. "I'd trade it all for a size two and the chance to go around braless. "

  Keri chuckled. "While I'd love to be stacked like you. Why do we always hate ourselves?"

  Sam had left a little later not knowing much more about Keri than she had before, but from that day on her neighbor treated her like an old friend. She'd invited Sam over for dinner a few times, and then they went to catch a movie together. Sam was just starting to like having a woman friend when Dwyer had finally pushed her too far by cornering her and nearly raping her, and she filed a formal complaint against him with IA.

  The grilling Sam had taken on that particular day had left her angry and sick. One of the IA cops had insinuated that by not reporting the earlier abuse, Sam had been giving Dwyer "silent permission" to harass her. She'd been forced to take four vacation days off while the complaint was filed and investigated. She'd stopped at a liquor store for orange juice and vodka, intending to get thoroughly drunk as soon as she got home. When she met Keri in the stairwell, she invited her inside to celebrate the disaster.

  Keri hadn't drunk much, but she'd listened while Sam bitched her way through four screwdrivers and two straight shots of Stoli. Finally she'd taken the vodka away and put it in the freezer.

  "You need to do something else besides sit here and be miserable about a man," Keri said.

  Sam, who had never been much of a drinker, had been enjoying her first real binge. "Like what?"

  What happened after that had told her all she ever needed to know about Keri Lewis, and a week later had ended their friendship in a spectacular scene in front of most of Sam's coworkers. These days Keri took special pains to avoid her, but Sam still could never walk past her neighbor's door without feeling guilty. She'd tried to apologize, too many times, but that had only made the situation worse.

  The phone ringing woke up Sam two hours after she'd gone to sleep, and Garcia's secretary told her to report in for a shift change. Tired but resigned to one of the downsides of being a cop, Sam dressed, nuked a cup of leftover coffee, and headed out the door.

  She'd almost made it to the stairwell when she heard Keri behind her. "Samantha. I thought you were working nights. "

  Sam closed her eyes for a moment, forcing a smile onto her face and turning. "I was. Now evidently I'm not. How are you, Keri?"

  "Same old me. "

  A doll maker might have fashioned Keri Lewis from porcelain and golden silk. A small, hard smile displayed her pearly teeth, only slightly less dazzling than her big green eyes. The sienna suede jacket, pencil-legged faded denims, and white tank top were too severe for her cameo looks, but as Keri put it, she preferred leather over lace.

  "I tried to call you," Keri told her, "but someone changed their number. "

  "I forgot to give you the new one. " No, she hadn't. "What's up?"

  "I'm subletting my place for the summer while I close on a house. Girl named Christian. A little wild-looking, but she paid the deposit in cash. She's moving in this morning. " A car horn sounded downstairs, and Keri glanced that way. "That's my ride. I won't be back here again. " She gave her a thorough, insulting once-over. "It's been interesting. "

  "Yeah. " Sam almost held out her hand, but decided a smile was less offensive. "Good luck with your new place. " She didn't flinch as Ken's palm connected with her cheek, and she didn't try to hit back. "I'm sorry. "

  A petite girl carrying a purple beanbag up the stairs stopped to watch.

  "No, you're not, you bitch. You love this. " Keri stepped forward as if to hit her again; then she swore and stalked past the girl standing with the beanbag on the landing. Before she started down the stairs, she looked back. "I hope one day someone gives you what you really need, Samantha, and takes it away from you the minute you start enjoying it. Just like you did to me. "

  Sam watched her hurry down the stairs and out to the parking lot, where she climbed into a black sports car.

  "Well. " The girl came to stand beside her. "I'd say she's pissed at you. "

  Sam gave her a sideways glance. What she had thought was a blue wool skullcap was actually the girl's hair. Silver rings pierced her right nostril, left eyebrow, and middle of her lip, and a black tattoo of a Chinese character graced a spot on her neck. Her fingernails were bitten down to the quick, and there were dark bruises on the knuckles of her right hand.

  Sixteen or seventeen at the most. Sam knew their landlord didn't run background checks on sublets. "You're Keri's tenant. "

  "Chris. " She rubbed her head, revealing one small ear that had been pierced from top to lobe with studs and more rings. "You'd be the numb-cunt bitch of a cop who lives across the hall?"

  Sam coughed to hide the laugh that was startled out of her. "Is that what Keri called me?"

  "Lady, that's the nicest thing she called you. " Chris sat down on the beanbag and hugged her knees. "I like it up here. If someone's going to break in, they'll hit the first or second floor, right? No way they're going to climb three flights. "

  The kid thought like a cop. Or a thief.

  "Wait till you have to carry down trash, or haul up furniture," Sam warned her. "Then you'll be wishing you were closer to the ground. " Maybe she'd run a background check on the kid, see what her story was.

  "I'm using Keri's stuff until she gets back from her trip," Chris said. "Looks like a diner in there, doesn't it? All you need is pie under glass and a fat waitress carrying around a pot of coffee. " She sniffed the air. "Do I smell French roast? Maybe there's a little extra a supernice neighbor would be willing to share?"

  With a sigh Sam handed her the Styrofoam cup she held. "Enjoy. But I wouldn't get used to having Keri's stuff. It's expensive; she'll be back for it. "

  "I've got some things. " Chris curled her hands around the cup and shifted, making the beanbag scrunch under her weight. "Lots of people around here throw out perfectly good stuff, too. I already scored a bag of clothes and shoes from the Dumpster. " She sipped the coffee and grimaced. "Sugar, ugh. I take it black. I know—beggars can't be choosers. Anyway, the clothes are guy stuff, but most of it's wash-and-wear, and I can cut it down to my size. "

  "Better wash before you wear. "

  Chris squinted up at her. "I'm a poor beggar, Officer, not stupid. "

  "It's Sam," she corrected. "How old are you, anyway?"

  "Why?" Chris stood and picked up her beanbag. "Do you have to be of age to drink coffee?"

  "No. "

  "Then I'm twenty-one, Officer. " The ring in her lower lip glimmered. Her smile was pure lightning, there one moment, gone in a blink. "See you around. "

  Eighty-seven men and eleven women were assigned to Fort Lauderdale Criminal Investigations Division, but only six of those worked homicide cases, with Sam as the only female officer in the unit. She and Harry had volunteered for a permanent assignment to the graveyard shift, as it allowed the other homicide detectives—all of whom were married with children—to work mornings or afternoons.

  With half the murders in the city being committed at night, Sam and Harry ended up with the lion's share of Homicide's caseload.

  Homicide was one of seven units under CID, with only six detectives allocated to investigate an average of twenty murders eac
h year and to assist the Violent Crimes Unit, as they worked ten times as many cases. As a result, the squad room was one of the smallest within the department. Detectives routinely used their desk time to reduce the endless piles of paperwork or interview witnesses and gather information via phone. Now and then a detective from Juvenile Crimes or Auto Thefts would wander in to steal some of the dark brew from the five-gallon coffeemaker that was never allowed to run empty, but the atmosphere within CID could hardly be called social.

  Some blamed murder, others the chilly management style of the captain of CID, Ernesto Garcia.

  Sam viewed working in the squad room as a necessary evil. She didn't like the tight maze of desks that had been crammed into a space designed for half as many, or the fact that Garcia had renovated the one interview room in Homicide to serve as his personal office. Still, it was fairly quiet, and only rarely did she and Harry run into Garcia or the other four detectives working day shift.

  Today was an exception, as Lena Caprell's body had been discovered by the Beach Patrol thirty minutes before Sam and Harry went off duty.

  "Overtime, must be nice," Jeff Peterson called out as Sam went to her desk. He was a short, slim weapons fanatic who had moved to Homicide to wait for a range instructor slot to open up at the police academy. "What are you pulling down now, Harry?"

  "More than I get," Ortenza, Peterson's partner, grumbled. The father of four, he'd been in a bad mood all month, since the day his wife informed him their fifth child was on the way.

  "Quit your bitching," Harry said in a genial way as he ambled over to the coffeemaker. He didn't drink the dark brew, the caffeine of which interfered with his breathing medication, but kept a hot pot on the table to heat water for the decaf tea his wife supplied him. "Sam, you coffeed out?"